**Wanted**
Quote only the lines further down with the word "Sc" in them, please.

**Material**
********
[1]
Structure and simulated X-ray diffraction stick pattern of Ho6InCo2 (a structure optimized by DFT (PBE); Cu Kα X-rays).
No peak broadening, texture or thermal motion is included.

Structural model:
Cell: 8.342 8.342 8.342 Å, 111.63 110.09 106.73°
Fractional coordinates of all 18 atoms:
Ho (0.019, 0.231, 0.788)
Ho (0.188, 0.288, 0.476)
Ho (0.188, 0.712, 0.899)
Ho (0.315, 0.012, 0.697)
Ho (0.315, 0.618, 0.303)
Ho (0.443, 0.231, 0.212)
Ho (0.557, 0.769, 0.788)
Ho (0.685, 0.382, 0.697)
Ho (0.685, 0.988, 0.303)
Ho (0.812, 0.288, 0.101)
Ho (0.812, 0.712, 0.524)
Ho (0.981, 0.769, 0.212)
In (0.000, 0.000, 0.000)
In (0.500, 0.500, 0.000)
Co (0.112, 0.612, 0.500)
Co (0.378, 0.000, 0.378)
Co (0.622, 0.000, 0.622)
Co (0.888, 0.388, 0.500)

Main lines, by angle (2θ from 10° to 80°):
2θ = 30.1°, 2.970 Å, rel. 188; 2θ = 32.2°, 2.777 Å, rel. 1000; 2θ = 34.4°, 2.606 Å, rel. 279; 2θ = 34.8°, 2.580 Å, rel. 331; 2θ = 35.2°, 2.548 Å, rel. 252; 2θ = 56.4°, 1.631 Å, rel. 193; 2θ = 59.1°, 1.563 Å, rel. 181; 2θ = 60.2°, 1.537 Å, rel. 198


[2]
Structure and simulated X-ray diffraction stick pattern of Y2SiS (a structure optimized by DFT (PBE); Cu Kα X-rays).
No peak broadening, texture or thermal motion is included.

Structural model:
Cell: 7.058 7.058 7.058 Å, 33.09 33.09 33.09°
Fractional coordinates of all 4 atoms:
Y (0.249, 0.249, 0.249)
Y (0.751, 0.751, 0.751)
Si (0.500, 0.500, 0.500)
S (0.000, 0.000, 0.000)

Main lines, by angle (2θ from 10° to 80°):
2θ = 26.8°, 3.332 Å, rel. 118; 2θ = 27.1°, 3.288 Å, rel. 342; 2θ = 31.3°, 2.857 Å, rel. 1000; 2θ = 44.6°, 2.030 Å, rel. 358; 2θ = 45.1°, 2.010 Å, rel. 347; 2θ = 55.9°, 1.644 Å, rel. 179; 2θ = 73.9°, 1.283 Å, rel. 153; 2θ = 74.6°, 1.273 Å, rel. 149


[3]
Structure and simulated X-ray diffraction stick pattern of Rb4Tm3ScTe8 (a structure optimized by DFT (PBE); Cu Kα X-rays).
No peak broadening, texture or thermal motion is included.

Structural model:
Cell: 9.956 9.956 9.956 Å, 53.09 53.09 53.09°
Fractional coordinates of all 16 atoms:
Rb (0.000, 0.000, 0.000)
Rb (0.000, 0.500, 0.500)
Rb (0.500, 0.000, 0.500)
Rb (0.500, 0.500, 0.000)
Tm (0.000, 0.000, 0.500)
Tm (0.000, 0.500, 0.000)
Tm (0.500, 0.000, 0.000)
Sc (0.500, 0.500, 0.500)
Te (0.233, 0.233, 0.233)
Te (0.239, 0.728, 0.728)
Te (0.272, 0.272, 0.761)
Te (0.272, 0.761, 0.272)
Te (0.728, 0.239, 0.728)
Te (0.728, 0.728, 0.239)
Te (0.761, 0.272, 0.272)
Te (0.767, 0.767, 0.767)

Main lines, by angle (2θ from 10° to 80°):
2θ = 10.4°, 8.528 Å, rel. 266; 2θ = 27.0°, 3.301 Å, rel. 1000; 2θ = 33.8°, 2.652 Å, rel. 152; 2θ = 36.5°, 2.461 Å, rel. 319; 2θ = 40.6°, 2.225 Å, rel. 372; 2θ = 49.4°, 1.845 Å, rel. 189; 2θ = 55.7°, 1.651 Å, rel. 131; 2θ = 65.8°, 1.420 Å, rel. 172


[4]
Structure and simulated X-ray diffraction stick pattern of TaAlTl (a structure optimized by DFT (PBE); Cu Kα X-rays).
No peak broadening, texture or thermal motion is included.

Structural model:
Cell: 4.833 4.833 2.858 Å, 90.00 90.00 120.00°
Fractional coordinates of all 3 atoms:
Ta (0.000, 0.000, 0.000)
Al (0.333, 0.667, 0.500)
Tl (0.667, 0.333, 0.500)

Main lines, by angle (2θ from 10° to 80°):
2θ = 21.2°, 4.185 Å, rel. 533; 2θ = 37.2°, 2.416 Å, rel. 815; 2θ = 38.1°, 2.360 Å, rel. 1000; 2θ = 54.3°, 1.688 Å, rel. 365; 2θ = 67.1°, 1.395 Å, rel. 148; 2θ = 67.7°, 1.384 Å, rel. 379; 2θ = 77.6°, 1.230 Å, rel. 197; 2θ = 79.3°, 1.208 Å, rel. 93


Starting from a crystal structure in Alexandria, relaxed with PBE, the X-ray diffraction stick pattern of Pm3YHo5 was computed for Cu Kα.
Lines closer than 0.1° are merged.

Atomic structure:
Unit cell a=8.7172 b=8.7172 c=15.4424 alpha=90.00 beta=90.00 gamma=90.00
Space group I4/mcm (No. 140)
One atom of each set of equivalent atoms:
Pm 0.0000 0.0000 0.2500 (multiplicity 4)
Pm 0.1164 0.3836 0.0000 (multiplicity 8)
Y 0.0000 0.5000 0.2500 (multiplicity 4)
Ho 0.0000 0.0000 0.0000 (multiplicity 4)
Ho 0.2106 0.2894 0.3626 (multiplicity 16)

Largest 10 diffraction maxima, low angle first, 2θ from 10° to 90°:
2θ/deg  Rel. int.  h k l
********

**Done**
Sc (0.500, 0.500, 0.500)